British Rail Strikes Put a Brick on Tracks To Private Operation
BRITAIN'S railways, heading out of public ownership and into the private sector, keep hitting an obstacle on the line.
It takes the form of angry signalmen determined to shatter government-imposed pay guidelines by calling 24- and 48-hour strikes. The strikes are jeopardizing the government's plan to privatize virtually the entire British railway system.
• What comes next are crystal structures, not part of the text:
~~~
No. 1
# TlMoRu4
Theoretical XRD peak list, Cu Kα (weighted mean of Kα1 and Kα2). Input: a cell relaxed with PBE.

Structure:
```
data_TlMoRu4
_symmetry_space_group_name_H-M 'F -4 3 m'
_symmetry_Int_Tables_number 216
_symmetry_space_group_name_Hall 'F -4 2 3'
_cell_length_a 7.275
_cell_length_b 7.275
_cell_length_c 7.275
_cell_angle_alpha 90.00
_cell_angle_beta 90.00
_cell_angle_gamma 90.00
loop_
_atom_site_label
_atom_site_fract_x
_atom_site_fract_y
_atom_site_fract_z
Tl1 0.000 0.000 0.000
Mo1 0.250 0.250 0.750
Ru1 0.125 0.125 0.375
```

Peak list (10 most intense, 10 to 90 degrees two-theta, sorted by position)
2θ (°), d [Å], I_rel, (hkl)
24.5, 3.638, 5, 2 0 0
34.9, 2.572, 39, 2 2 0
41.2, 2.194, 100, 3 1 1
43.1, 2.100, 29, 2 2 2
62.5, 1.485, 14, 4 2 2
66.8, 1.400, 31, 5 1 1
73.7, 1.286, 25, 4 4 0
84.2, 1.150, 6, 6 2 0
88.0, 1.109, 12, 5 3 3
89.3, 1.097, 11, 6 2 2

---

No. 2
# Te4AsAu3
Theoretical XRD peak list, Cu Kα (weighted mean of Kα1 and Kα2). Input: a cell relaxed with PBE.

Structure:
```
data_Te4AsAu3
_symmetry_space_group_name_H-M 'P m n 21'
_symmetry_Int_Tables_number 31
_symmetry_space_group_name_Hall 'P 2ac -2'
_cell_length_a 8.862
_cell_length_b 7.702
_cell_length_c 7.398
_cell_angle_alpha 90.00
_cell_angle_beta 90.00
_cell_angle_gamma 90.00
loop_
_atom_site_label
_atom_site_fract_x
_atom_site_fract_y
_atom_site_fract_z
Te1 0.000 0.162 0.000
Te2 0.000 0.820 0.484
Te3 0.249 0.660 0.980
As1 0.000 0.837 0.859
Au1 0.000 0.158 0.379
Au2 0.242 0.322 0.848
```

Peak list (10 most intense, 10 to 90 degrees two-theta, sorted by position)
2θ (°), d [Å], I_rel, (hkl)
23.1, 3.844, 100, 0 2 0
24.1, 3.699, 59, 0 0 2
26.1, 3.411, 76, 2 1 1
33.6, 2.666, 37, 0 2 2
40.6, 2.221, 60, 2 3 0
40.7, 2.215, 31, 4 0 0
43.6, 2.076, 95, 2 1 3
47.8, 1.903, 55, 4 0 2
61.2, 1.515, 22, 4 2 3
76.0, 1.253, 23, 4 4 3

---

No. 3
# Li4OF2
Theoretical XRD peak list, Cu Kα (weighted mean of Kα1 and Kα2). Input: a cell relaxed with PBE.

Structure:
```
data_Li4OF2
_symmetry_space_group_name_H-M 'I 4/m m m'
_symmetry_Int_Tables_number 139
_symmetry_space_group_name_Hall '-I 4 2'
_cell_length_a 3.671
_cell_length_b 3.671
_cell_length_c 10.714
_cell_angle_alpha 90.00
_cell_angle_beta 90.00
_cell_angle_gamma 90.00
loop_
_atom_site_label
_atom_site_fract_x
_atom_site_fract_y
_atom_site_fract_z
Li1 0.000 0.000 0.175
Li2 0.000 0.500 0.000
O1 0.000 0.000 0.000
F1 0.000 0.000 0.345
```

Peak list (10 most intense, 10 to 90 degrees two-theta, sorted by position)
2θ (°), d [Å], I_rel, (hkl)
34.6, 2.596, 81, 1 1 0
35.1, 2.560, 100, 1 0 3
38.5, 2.336, 7, 1 1 2
48.9, 1.864, 12, 1 1 4
49.7, 1.836, 45, 2 0 0
51.2, 1.786, 18, 0 0 6
62.2, 1.492, 21, 2 1 3
63.2, 1.471, 15, 1 1 6
72.9, 1.298, 11, 2 2 0
74.1, 1.280, 18, 2 0 6

---

No. 4
# In12SnPb3
Theoretical XRD peak list, Cu Kα (weighted mean of Kα1 and Kα2). Input: a cell relaxed with PBE.

Structure:
```
data_In12SnPb3
_symmetry_space_group_name_H-M 'P 4/m m m'
_symmetry_Int_Tables_number 123
_symmetry_space_group_name_Hall '-P 4 2'
~~~
Facing mounting pressure from the government to accept a 2.5 percent pay settlement, Jimmy Knapp, the signal union leader, ordered his 4,700 men to stage another two-day stoppage scheduled for Aug. 30. If it goes ahead, it will be the 13th day of industrial action since late June. Mr. Knapp claims that despite massive disruption to long-distance and commuter services, opinion polls show that more than 50 percent of the traveling public back the signalers' pay claim.
Railtrack, which operates tracks and signaling for Britain's train system, has tried to persuade strikers to return to duty, but only a few have. With managers and supervisors forced to operate signal boxes, Railtrack has been able to run up to one-third of its services on strike days. Knapp claims the use of inexperienced signal staff is putting travelers in peril; Railtrack denies this.
For the government, the dispute is a giant hiccup in its strategy of taking the train system out of the public sector and injecting it with the spirit of private enterprise. As the deadlock has deepened, Railtrack's losses have climbed beyond an officially admitted 100 million (US$154 million). The strikers have lost more than the amount they would have gained if they had accepted the management's initial pay offer. The strike is costing individual signalers 50 a day in lost wages.
PRIME Minister John Major's officials say the government is determined to stick to pay guidelines aimed at holding inflation at around 3 percent. Transport Secretary Brian Mawhinney insists that if the signalers got the 9 percent pay rise they demand, other public-sector employees would lodge similar claims and destroy the government's anti-inflation policy.
In a series of statements explaining how a management offer had first been made, then canceled, Knapp won over much of the public. He argues that the pay raise currently on the table is not fair compensation for the signalers' acceptance of productivity agreements over the last four years. ``This dispute,'' Knapp says, ``is the direct result of government incompetence and Railtrack's acquiescence in that incompetence. The public knows that, which is why they are still supporting us.''
The government's intervention in the dispute has opened it to Labour opposition charges that it is making a mess of rail privatization. Under government plans, long-distance and regional train services will be run by several private companies.
By allowing a crisis to develop between Railtrack and the signalers, the government has disrupted its privatizing strategy. Mr. Mawhinney decided last Wednesday to call on Knapp and his members to abandon the strike and accept Railtrack's offer. Earlier, he had allowed Bob Horton, head of Railtrack, and other Railtrack managers to make public statements.
``Everyone is getting fed up with the disruption and inconvenience these needless strikes are causing to travelers, industry, and the rail industry itself,'' Mawhinney says. ``Public patience can be elastic, but even elastic can snap.''
### Misplaced records of crystals
This entry pairs a crystal structure of RbMnH4Cl3O2 with its theoretical X-ray diffraction stick pattern. Radiation: a wavelength of 1.5418 Å. Structure: DFT lattice parameters and positions (GGA+U).
No peak broadening, texture or thermal motion is included.

Principal peaks in the range 2θ = 10–80°, sorted by position:
| two_theta | I_rel | h k l |
| --- | --- | --- |
| 14.72 | 69 | 1 0 0 |
| 14.87 | 55 | 0 1 -1 |
| 27.15 | 100 | 0 2 1 |
| 29.70 | 51 | 2 0 0 |
| 29.99 | 49 | 0 2 -2 |
| 32.27 | 53 | 1 0 -3 |
| 38.86 | 52 | 2 0 -3 |
| 42.00 | 52 | 2 -2 2 |

Cell and atoms:
```
data_RbMnH4Cl3O2
_chemical_formula_sum 'Rb2 Mn2 H8 Cl6 O4'
_cell_length_a 6.3327
_cell_length_b 7.7762
_cell_length_c 8.5805
_cell_angle_alpha 94.07
_cell_angle_beta 101.69
_cell_angle_gamma 102.86
_space_group_name_H-M_alt 'P 1'
_space_group_IT_number 1
loop_
_space_group_symop_operation_xyz
'x,y,z'
loop_
_atom_site_label
_atom_site_fract_x
_atom_site_fract_y
_atom_site_fract_z
Rb1 0.2356 0.4049 0.1561
Rb2 0.7644 0.5951 0.8439
Mn1 0.0023 0.1777 0.6724
Mn2 0.9977 0.8223 0.3276
H1 0.2296 0.0091 0.9248
H2 0.2349 0.6426 0.5578
H3 0.4146 0.1197 0.8477
H4 0.4158 0.7728 0.4904
H5 0.5842 0.2272 0.5096
H6 0.5854 0.8803 0.1523
H7 0.7651 0.3574 0.4422
H8 0.7704 0.9909 0.0752
Cl1 0.2135 0.1445 0.4480
Cl2 0.2210 0.4983 0.7607
Cl3 0.2240 0.8364 0.1099
Cl4 0.7760 0.1636 0.8901
Cl5 0.7790 0.5017 0.2393
Cl6 0.7865 0.8555 0.5520
O1 0.2577 0.1041 0.8552
O2 0.2584 0.7064 0.4640
O3 0.7416 0.2936 0.5360
O4 0.7423 0.8959 0.1448
```


The following is a calculated powder X-ray diffraction pattern of Na4AlCu2Si. It was derived from a cell relaxed with GGA-PBE, using λ = 1.5418 Å (Cu Kα).

Principal peaks in the range 2θ = 5–70°, in order of rising 2θ:
- 2θ = 23.38°, I 237, (1 0 1)
- 2θ = 27.10°, I 69, (1 1 0)
- 2θ = 38.65°, I 1000, (2 0 0)
- 2θ = 45.71°, I 77, (2 1 1)
- 2θ = 55.62°, I 52, (0 0 4)
- 2θ = 55.89°, I 106, (2 2 0)
- 2θ = 69.82°, I 99, (2 0 4)
- 2θ = 70.00°, I 201, (3 1 2)

Crystal structure
a b c (Å): 4.6526 4.6526 6.6097
angles (deg): 90.00 90.00 90.00
Fractional coordinates of all 8 atoms:
Na1 0.0000 0.0000 0.0000
Na2 0.0000 0.5000 0.2423
Na3 0.5000 0.0000 0.7577
Na4 0.5000 0.5000 0.5000
Al1 0.0000 0.0000 0.5000
Cu1 0.0000 0.5000 0.7600
Cu2 0.5000 0.0000 0.2400
Si1 0.5000 0.5000 0.0000

=====

The following is a calculated powder X-ray diffraction pattern of Na4Al2ZnCu. It was derived from a cell relaxed with GGA-PBE, using λ = 1.5418 Å (Cu Kα).

Principal peaks in the range 2θ = 5–70°, in order of rising 2θ:
- 2θ = 22.64°, I 241, (1 0 1)
- 2θ = 26.20°, I 111, (0 0 2)
- 2θ = 37.39°, I 1000, (2 0 0)
- 2θ = 44.19°, I 82, (2 1 1)
- 2θ = 53.79°, I 54, (0 0 4)
- 2θ = 53.97°, I 109, (2 2 0)
- 2θ = 67.37°, I 104, (2 0 4)
- 2θ = 67.48°, I 208, (3 1 2)

Crystal structure
a b c (Å): 4.8056 4.8056 6.8168
angles (deg): 90.00 90.00 90.00
Fractional coordinates of all 8 atoms:
Na1 0.0000 0.0000 0.0000
Na2 0.0000 0.5000 0.7459
Na3 0.5000 0.0000 0.2541
Na4 0.5000 0.5000 0.5000
To follow up Mawhinney's statement, Mr. Horton authorized Railtrack managers to approach all signalers individually, urging them to go back to work. It was reported over the weekend that Railtrack was calling for volunteers to operate signal boxes on strike days. A spokesman says: ``The more trains we operate, the more the signalers will see that the way forward is to negotiate.''
On a normal weekday in Britain, 15,000 train services operate. So far, Knapp's men have been able to prevent or seriously disrupt 10,000 of that total. A Railtrack source says if one-half of normal services could be made to run on stoppage days, the strike would crumble.